
Showing posts from August, 2011

Shifting Gears

As I was driving down the road today I was reminded of my Dad teaching me to drive.  I learned to drive in a 1957 Ford Fairlane, three on the tree.  Just in case you don't know what that means, it was a three speed on the column.  My Dad said if I would learn to drive a manual shift, that I could drive anything I wanted to.  He was right!  I taught all my children to drive a stick shift.  Although I thought my daughter would kill us before she got the hang of it.  She had this bad habit of looking down at the shifter and pulling the steering wheel to the left, into traffic!!  Oh Yeah, we had some scary moments!!  It was worth it, all three of them can get in any kind of vehicle and go.  My Dad was a very special man, and I was certainly my Daddy's girl.  I miss him a lot, he would be so proud of my oldest son.  Those two were thicker than thieves before my Dad passed away. Thanks for stopping by my blog and have a blessed day...

== Next to the entry, the page also holds data records ==
[1]
CoP4O12 PBE+U relaxed; M_tot = 1.99 μB/cell; formation energy = -2.197 eV per atom; total energy after the MP2020 corrections = -7.3812 eV/atom; electronic total energy = -115.6 eV per formula unit; density = 2.46 g/cm³
1.0
-2.437 -13.099 -2.897
1.995 -1.386 4.590
-6.104 0.292 3.815
Co P O
2 8 24
Direct
0.236 0.484 0.508 Co
0.736 0.516 0.492 Co
0.168 0.144 0.898 P
0.323 0.786 0.114 P
0.377 0.997 0.460 P
0.598 0.023 0.456 P
0.668 0.856 0.102 P
0.823 0.214 0.886 P
0.098 0.977 0.544 P
0.877 0.003 0.540 P
0.362 0.267 0.507 O
0.610 0.293 0.507 O
0.403 0.644 0.025 O
0.164 0.186 0.447 O
0.110 0.707 0.493 O
0.366 0.000 0.236 O
0.107 0.967 0.768 O
0.108 0.184 0.065 O
0.710 0.622 0.225 O
0.816 0.222 0.437 O
0.754 0.398 0.767 O
0.316 0.778 0.563 O
0.866 0.000 0.764 O
0.489 0.917 0.499 O
0.761 0.043 0.043 O
0.664 0.814 0.553 O
0.989 0.083 0.501 O
0.903 0.356 0.975 O
0.261 0.957 0.957 O
0.210 0.378 0.775 O
0.254 0.602 0.233 O
0.608 0.816 0.935 O
0.862 0.733 0.493 O
0.607 0.033 0.232 O

***

[2]
Na3NdV2O8 PBE+U relaxed; M_tot = 0.00 μB/cell; formation energy = -2.659 eV per atom; total energy after the MP2020 corrections = -7.4077 eV/atom; electronic total energy = -94.8 eV per formula unit; density = 3.68 g/cm³
1.0
-3.129 4.105 -2.290
-11.379 -4.427 7.613
5.684 7.133 11.972
Na Nd V O
18 6 12 48
Direct
0.678 0.469 0.340 Na
0.102 0.914 0.203 Na
0.312 0.733 0.643 Na
0.713 0.810 0.538 Na
0.965 0.997 0.954 Na
0.560 0.560 0.084 Na
0.216 0.091 0.403 Na
0.668 0.970 0.339 Na
0.094 0.413 0.202 Na
0.526 0.060 0.084 Na
0.926 0.651 0.755 Na
0.831 0.151 0.755 Na
0.993 0.496 0.956 Na
0.326 0.232 0.642 Na
0.454 0.378 0.880 Na
0.433 0.878 0.882 Na
0.824 0.310 0.540 Na
0.192 0.591 0.402 Na
0.424 0.486 0.645 Nd
0.610 0.719 0.293 Nd
0.042 0.751 0.001 Nd
0.686 0.218 0.293 Nd
0.218 0.985 0.645 Nd
0.961 0.251 0.001 Nd
0.404 0.129 0.869 V
0.828 0.883 0.761 V
0.810 0.579 0.530 V
0.718 0.078 0.531 V
0.080 0.634 0.189 V
0.467 0.629 0.870 V
0.182 0.839 0.424 V
0.545 0.339 0.107 V
0.931 0.384 0.761 V
0.244 0.338 0.424 V
0.109 0.133 0.189 V
0.562 0.840 0.106 V
0.963 0.811 0.692 O
0.971 0.352 0.874 O
0.251 0.359 0.540 O
0.779 0.649 0.898 O
0.396 0.533 0.927 O
0.619 0.871 0.221 O
0.750 0.392 0.049 O
0.513 0.722 0.102 O
0.956 0.992 0.754 O
0.898 0.851 0.874 O
0.312 0.725 0.902 O
0.734 0.611 0.418 O
0.840 0.596 0.237 O
0.800 0.872 0.055 O
0.873 0.812 0.402 O
0.236 0.934 0.362 O
0.119 0.149 0.897 O
0.609 0.369 0.221 O
0.590 0.225 0.903 O
0.034 0.601 0.074 O
0.053 0.242 0.393 O
0.043 0.102 0.075 O
0.532 0.311 0.402 O
0.663 0.646 0.600 O
0.344 0.744 0.393 O
0.729 0.312 0.692 O
0.511 0.885 0.729 O
0.367 0.611 0.753 O
0.128 0.586 0.562 O
0.398 0.097 0.237 O
0.533 0.033 0.925 O
0.255 0.372 0.057 O
0.299 0.893 0.049 O
0.387 0.113 0.752 O
0.218 0.385 0.729 O
0.127 0.432 0.362 O
0.683 0.111 0.419 O
0.838 0.967 0.541 O
0.342 0.585 0.249 O
0.798 0.493 0.752 O
0.107 0.753 0.193 O
0.703 0.468 0.541 O
0.933 0.145 0.602 O
0.906 0.083 0.248 O
0.080 0.252 0.195 O
0.288 0.860 0.540 O
0.431 0.084 0.562 O

Well Water

When I was growing up, we didn't have indoor plumbing until I was thirteen.  That was shortly after my Dad hurt his back and we had to move to the city.  My brother got my Dad a job as the janitor at the plant where he worked.  I can remember drawing water for the house and for the animals.  Think about that!  How would you like to draw water out of an old fashion well just to have a drink of water?  You had to hand draw water for everything!  On wash day everyone had to pitch in and draw water.  I used to go see one of our neighbors just to get a drink of water from her well.  It was the coldest and the best tasting water I can ever remember drinking.  Pop said, that one time his granddad told him that he would see a time when water would be more important than oil.  I think that he was right.  I can see a time in our future where that may be.  We can only keep the streams, rivers and lakes of this country from being ...

I Love Muscle Cars

My sons shop now has two muscle cars to be restored.  One is a Nova and the other is an El Camino.  The boys are planing on putting big block engines in both.  They brought home a 454 to go in one of them!  I can't wait for us to get started on them.  I love watching one go from a rusty ole heap into something beautiful.  It helps us all to have some time together and feel like we have accomplished something.  My son and his wife work so hard and such long hours, I'm glad that he has that as a way to relieve some stress. Have a great day.

Comic Book

It's hard for me to believe that I have been out of school for forty years!!!  I was comparing the things that kids do now as opposed to when I was in school and we are light years apart.  One of the things that some of my friends and I did was created our own comic book.  We each had a role and we would create scenarios and play them out.  One of the guys was a great artist!  We used our minds!  Kids today have no imaginations.  They don't strive to make things better or invent things.  Everything is handed to them ready made.  Even Grandam's famous Sunday morning biscuits come form a can or the freezer.  It's amazing how things have changed.  I haven't given getting older much thought.  I am in good health and can do just about anything I set out to do, but the other day I was filling out some forms, and realized that I have known my best friend for over FIFTY, yes I said 50 years!!!  Time flies when you are enjoying lif...

Water Guns

When my kids were small I used to buy them water pistols every summer!  It was a cheap way for us all to have fun.  The down side was they ran out of water to fast.  I remember this one time, we were all outside playing and the rule was you had to fill them up outside and you could not shoot through the screen door.  My mom was inside watching from the kitchen and one of the kids squirted her through the door!  So what did my mom do?  She let the child run,  she came outside and got the water hose and when the child came back, she wet him good.  We all had a good laugh because she got the upper hand.  A few years later I was helping my mom clean the kitchen and was wiping down the refrigerator and what did I find on top?  I found several water guns that she had taken away from the kids and put where they couldn't reach them.  I really loved that lady and I miss her badly.

Anti Bullying

I know that every school and every class has a bully.  It's has been that way forever!  The times that we live in are what makes it different.  I can remember when I was in school, I was picked on at first because I was a cry baby.  No one physically hurt me, it did not scar me for life and as I matured those same kids became my friends.  Then we moved from the country to the city when I was in the seventh grade.  The first nine weeks the kids were really mean to me because I had a strong country accent and my Mom made all my clothes and I still wore pig-tails.  I only had one altercation over it.  A boy kept pulling my hair and I raised my hand and told the teacher if he did it again I was going to hit him.  He pulled my hair again and I hit him hard!  He is still one of my best friends. Bully's pick on kids they see as weaker, and it is our job as parents and grandparents to teach our children that picking on someone weaker than you...


The holiday's are coming up fast!!  Anna and I were talking today about what we wanted to do for Thanksgiving.  The holidays are hard for both of us but for different reasons.  They are hard for me because my parents are dead and I miss them both a lot around the holidays.  My Anna is thousands of miles from her parents and hasn't seen them in over eight years.  I hope that my son will be able to take her to the Philippines next year to see her parents and grandparents.  She is a very special woman and I know that my Mom and Dad would have really loved her.  She and I are going to make this years holidays the best we have all had in years!!!  They will be full of love and laughter and all the things that make family special!


Can you remember being a teenager?  I can remember most of my teenage years.  Times sure have changed!  Today's generation has no concept of what it is to work for the things they need or better yet for the things they want.  All they have to do is ask a parent or have a temper fit until the adult who is supposedly in charge give in.  If kids still had to work in the field, milk cows, feed chicken and do "real" chores they might appreciate the things they have.  They believe that they have a right to a good home, plenty of food to eat, and getting to go to the doctor when they are sick.  These things are not rights, they are privileges!  I think anyone who quits school should have to spend the next two years in the peace corp in a country other than the United States.  It wouldn't even hurt to make every person who graduates from high school serve one year in another country.  It would let them know that the whole world is not like us....

We Did It

Even without the help of those who could have!!  If all goes well we will have the chemicals here by this weekend for the machines my son has added to his studio.  My Daddy always said if you couldn't get it own your own you didn't need it, well through hard work and the blessing of the Lord my son was able to add two new machines.  Now not only will he be able to take the photo's but he will be able to also print them on sight.  We were also able to add a one hour lab, that works just like taking your pictures to Walmart, but a much better quality.  Everyone we have talked to is really excited for us to get it up and running. Say a prayer for us and for our troops and their families.  Freedom isn't free, and I thank God that my family and I live in this country.  She may stumble, but she will not fall.  There are more God fearing people in this country than those who do not believe, so keep praying and we shall overcome the challenges that lay ...

Go To Your Room

Shortly after I divorced my youngest son's dad, my Mom moved in with us.  Gosh, I don't know how I would have made it without her.  The old house that we lived in was an ongoing project, there was always something that needed repaired.  In order to make room for all of us we changed my laundry room into my oldest a bed room.  It wound up needing more work than we first thought!!  We wound up having to replace all the floor joist and put down a new floor.  My Mom was amazing!!  While I was at work she taught my oldest son how to read a tape measure, use a saw and the two of them put up the ceiling tile and everything.  She built him a wrap around desk complete with drawers and a false hiding place for his cool stuff.  She took broken karate boards and wooden dowels and made him shelves for his model cars.  The finishing touch was the door!  On the outside it looked like a door on the inside it was covered with paneling in a way that ...

Movies and Memories

We were watching the movie The Mechanic when a scene in the movie brought back a memory of when my youngest son was about 15.  In the movie the man is  holding on to the back of a small boat and being pulled down the river.  My son and one of his friends skated all over town on their skates  and then one day I get a call from the police department to come and pick up my son.  What was he doing?  Instead of staying on the back streets these two nuts were down town, that not bad enough, not for those two!  They were holding on to the bumpers of cars and letting them pull them down the road.  Needless to say both boys were grounded for quite some time.  Holding on to cars is very dangerous!!  Kids do crazy things, be sure to show up in places where your kids don't expect you too, and don't be afraid to check their phones and computers.  There are all kind of crazy people in this world.

Starting on the Pretty Little Liars book series

Guest post written by Sharon Wiles Any time I start watching a show that was based on a book series, I can never hold out until the end to find out what happens. I always start in on the book or the book series. But I guess that there are worse things I could do. A lot of the times it doesn't give me the answers that I want because the shows aren't always exactly like the books. I've learned that much with True Blood. But I'm starting in on the Pretty Little Liars series because I can't stand not knowing who A is! Well, I went online to order the book series and while I was doing that, I ran across the website . I showed it to my roommates and after we looked through it some, we decided to change over our apartment's internet service to it. It ended up that I was lucky enough to find the first Pretty Little Liars book at my local library. Sure, I felt a little strange looking in the YA section for it as a 20 something b...